10 FCPS Students Named 2024 National Merit College-Sponsored Scholarship Winners

By Office of Communications
July 15, 2024

Ten Fairfax County Public Schools (FCPS) students from three high schools have been named winners of 2024 Merit Scholarship awards by the National Merit Scholarship Corporation (NMSC). The students are part of a group of more than 800 National Merit® Finalists chosen to receive additional scholarships financed by higher education institutions. They join the original group of 2,900 college-sponsored award recipients announced in June

Winners of the scholarships, with their probable career fields in parentheses, are:

  • Shashank Vardhan Cheruvu of Thomas Jefferson High School for Science and Technology (TJHSST) (computer science), National Merit University of Maryland Scholarship.
  • Pranav K. Vadde of TJHSST (aerospace engineering), National Merit Purdue University Scholarship.
  • Srishanth Tangedipalli of TJHSST (medicine), National Merit Case Western Reserve University Scholarship.
  • Joshua Y. Kwon of Chantilly High School (computer science), National Merit University of Maryland Scholarship. 
  • Shira D. Gottesman of TJHSST (biology), National Merit Brandeis University Scholarship. 
  • Hardeep S. Mann of TJHSST (cardiology), National Merit Virginia Commonwealth University Scholarship.
  • Pranav A. Panicker of TJHSST (computer science), National Merit University of Maryland Scholarship.
  • Milan T. Nguyen of McLean High School (international relations), National Merit Northeastern University Scholarship.
  • Alexandra Toporowicz of TJHSST (medicine), National Merit Virginia Commonwealth University Scholarship. 
  • Karthik Thyagarajan of TJHSST (computer science), National Merit Purdue University Scholarship.

Each scholarship winner was evaluated on their academic record; an essay and information about extracurricular activities, awards, and leadership positions; SAT scores that confirmed outstanding test performance; and a recommendation and endorsement from a high school official. Each award provides between $500 and $2,000 annually for up to four years of undergraduate study at the institution financing the recipient’s scholarship.

## The text is interrupted by records of crystals
____________
No. 1
Theoretical powder diffractogram
Compound: Ce3Ni2Au4
Radiation: λ = 1.5418 Å (Cu Kα)
Structure: a cell relaxed with GGA-PBE

Atomic structure:
Lattice parameters (Å, degrees): 5.4615 5.4615 9.2659 110.71 110.71 51.39
Element x y z (fractional)
Ce1 0.0000 0.0000 0.0000
Ce2 0.1452 0.1452 0.7046
Ce3 0.8548 0.8548 0.2954
Ni1 0.4054 0.4054 0.7071
Ni2 0.5946 0.5946 0.2929
Au1 0.2006 0.2006 0.3987
Au2 0.3350 0.3350 0.0675
Au3 0.6650 0.6650 0.9325
Au4 0.7994 0.7994 0.6013

The 10 most intense peaks (10 to 80 degrees two-theta), most intense first:
| two_theta | I/Imax |
| --- | --- |
| 34.76 | 100 |
| 40.20 | 86 |
| 34.56 | 69 |
| 38.00 | 64 |
| 22.35 | 29 |
| 31.49 | 28 |
| 19.61 | 28 |
| 41.50 | 28 |
| 54.29 | 26 |
| 36.94 | 26 |

No. 2
Theoretical powder diffractogram
Compound: LaY2RuO8
Radiation: λ = 1.5418 Å (Cu Kα)
Structure: a cell relaxed with GGA-PBE

Atomic structure:
Lattice parameters (Å, degrees): 5.0722 6.9457 5.0823 90.00 90.18 90.00
Element x y z (fractional)
La1 0.0000 0.0000 0.0000
Y1 0.5000 0.2514 0.5000
Y2 0.5000 0.7486 0.5000
Ru1 0.0000 0.5000 0.0000
O1 0.1861 0.3004 0.1845
O2 0.1861 0.6996 0.1845
O3 0.2668 0.5000 0.7319
O4 0.3148 0.0000 0.6828
O5 0.6852 0.0000 0.3172
O6 0.7332 0.5000 0.2681
O7 0.8139 0.3004 0.8155
O8 0.8139 0.6996 0.8155

The 10 most intense peaks (10 to 80 degrees two-theta), most intense first:
| two_theta | I/Imax |
| --- | --- |
| 24.80 | 100 |
| 31.20 | 83 |
| 47.84 | 50 |
| 35.36 | 21 |
| 47.93 | 17 |
| 59.10 | 17 |
| 60.84 | 10 |
| 60.95 | 10 |
| 50.78 | 9 |
| 65.08 | 9 |

No. 3
Theoretical powder diffractogram
Compound: PuMgCl6
Radiation: λ = 1.5418 Å (Cu Kα)
Structure: a cell relaxed with GGA-PBE

Atomic structure:
Lattice parameters (Å, degrees): 7.1235 7.1235 6.4202 97.80 97.80 126.51
Element x y z (fractional)
Pu1 0.0000 0.0000 0.0000
Mg1 0.5000 0.5000 0.5000
Cl1 0.1243 0.3962 0.2608
Cl2 0.2497 0.2497 0.7515
Cl3 0.3962 0.1243 0.2608
Cl4 0.6038 0.8757 0.7392
Cl5 0.7503 0.7503 0.2485
Cl6 0.8757 0.6038 0.7392

The 10 most intense peaks (10 to 80 degrees two-theta), most intense first:
| two_theta | I/Imax |
| --- | --- |
| 13.92 | 100 |
| 18.51 | 84 |
| 31.66 | 72 |
| 16.09 | 56 |
| 47.65 | 39 |
| 20.13 | 37 |
| 14.47 | 34 |
| 24.50 | 30 |
| 40.94 | 30 |
| 42.82 | 26 |

No. 4
Theoretical powder diffractogram
Compound: AcPrC3N6
Radiation: λ = 1.5418 Å (Cu Kα)
Structure: a cell relaxed with GGA-PBE

Atomic structure:
Lattice parameters (Å, degrees): 6.5257 6.5257 6.5257 65.03 65.03 65.03
Element x y z (fractional)
Ac1 0.0000 0.0000 0.0000
Pr1 0.3596 0.3596 0.3596
C1 0.2096 0.4428 0.8969
C2 0.4428 0.8969 0.2096
C3 0.8969 0.2096 0.4428
N1 0.0134 0.1929 0.5599
N2 0.1929 0.5599 0.0134
N3 0.2251 0.3229 0.7840
N4 0.3229 0.7840 0.2251
N5 0.5599 0.0134 0.1929
N6 0.7840 0.2251 0.3229

The 10 most intense peaks (10 to 80 degrees two-theta), most intense first:
| two_theta | I/Imax |
| --- | --- |
| 30.91 | 100 |
| 15.69 | 71 |
| 18.63 | 67 |
| 25.39 | 61 |
| 17.33 | 41 |
| 43.80 | 32 |
| 32.68 | 24 |
____________
## So much for the records of crystals

This final group of winners brings the number of 2024 National Merit Scholars to more than 6,900. These distinguished high school graduates will receive scholarships that total nearly $26 million. In addition to college-sponsored awards, two other types of National Merit Scholarships were offered — 2,500 National Merit $2,500 Scholarships, for which all finalists competed; and about 770 corporate-sponsored Merit Scholarship awards for finalists who met criteria specified by their grantor organizations.